Excerpt:
-- begin --
No. 1
# Zr2NbIr9

Zr2NbIr9 after structural relaxation (PBE, Alexandria).

a b c (Å): 3.963 3.963 11.901
angles (deg): 90.00 90.00 90.00
Positions (direct):
1 Zr 0.000 0.000 0.167
2 Zr 0.000 0.000 0.833
3 Nb 0.000 0.000 0.500
4 Ir 0.000 0.500 0.000
5 Ir 0.000 0.500 0.339
6 Ir 0.000 0.500 0.661
7 Ir 0.500 0.000 0.000
8 Ir 0.500 0.000 0.339
9 Ir 0.500 0.000 0.661
10 Ir 0.500 0.500 0.169
11 Ir 0.500 0.500 0.500
12 Ir 0.500 0.500 0.831

Theoretical density (g/cm³): 17.81
Space group: P4/mmm (123)
Magnetization (μB/atom): 0.000

=====

No. 2
# ZrNbIr2

ZrNbIr2 after structural relaxation (PBE, Alexandria).

a b c (Å): 2.984 2.984 7.652
angles (deg): 90.00 90.00 90.00
Positions (direct):
1 Zr 0.000 0.000 0.000
2 Nb 0.000 0.000 0.500
3 Ir 0.500 0.500 0.264
4 Ir 0.500 0.500 0.736

Theoretical density (g/cm³): 13.86
Offset from the most stable computed form (meV per atom): 0.0
Space group: P4/mmm (123)
Magnetization (μB/atom): 0.000

=====

No. 3
# Zr6NbIr5

Zr6NbIr5 after structural relaxation (PBE, Alexandria).

a b c (Å): 4.667 6.711 7.390
angles (deg): 90.00 108.47 90.00
Positions (direct):
1 Zr 0.000 0.248 0.000
2 Zr 0.000 0.752 0.000
3 Zr 0.333 0.249 0.666
4 Zr 0.333 0.751 0.666
5 Zr 0.667 0.249 0.334
6 Zr 0.667 0.751 0.334
7 Nb 0.500 0.500 0.000
8 Ir 0.168 0.000 0.336
9 Ir 0.168 0.500 0.336
10 Ir 0.500 0.000 0.000
11 Ir 0.832 0.000 0.664
12 Ir 0.832 0.500 0.664

Theoretical density (g/cm³): 12.11
Space group: P2/m (10)
Magnetization (μB/atom): 0.000

=====

No. 4
# ZrNbIr2

ZrNbIr2 after structural relaxation (PBE, Alexandria).

a b c (Å): 4.616 4.616 4.616
angles (deg): 60.00 60.00 60.00
Positions (direct):
1 Zr 0.000 0.000 0.000
2 Nb 0.500 0.500 0.500
3 Ir 0.250 0.250 0.250
4 Ir 0.750 0.750 0.750

Theoretical density (g/cm³): 13.57
Offset from the most stable computed form (meV per atom): 151.3
Space group: Fm-3m (225)
Magnetization (μB/atom): 0.000

=====

No. 5
# ZrNb3Ir

ZrNb3Ir after structural relaxation (PBE, Alexandria).

a b c (Å): 4.873 4.873 4.873
angles (deg): 90.00 90.00 90.00
Positions (direct):
1 Zr 0.000 0.000 0.000
2 Nb 0.000 0.500 0.500
3 Nb 0.500 0.000 0.500
4 Nb 0.500 0.500 0.000
5 Ir 0.500 0.500 0.500

Theoretical density (g/cm³): 8.07
Offset from the most stable computed form (meV per atom): 0.0
Space group: Pm-3m (221)
Magnetization (μB/atom): 0.000

=====

No. 6
# ZrNb2Ir2

ZrNb2Ir2 after structural relaxation (PBE, Alexandria).

a b c (Å): 7.714 7.714 3.010
angles (deg): 90.00 90.00 90.00
Positions (direct):
1 Zr 0.000 0.000 0.000
2 Zr 0.500 0.500 0.000
3 Nb 0.166 0.334 0.500
4 Nb 0.334 0.834 0.500
5 Nb 0.666 0.166 0.500
6 Nb 0.834 0.666 0.500
7 Ir 0.130 0.630 0.000
8 Ir 0.370 0.130 0.000
9 Ir 0.630 0.870 0.000
10 Ir 0.870 0.370 0.000

Theoretical density (g/cm³): 12.26
Offset from the most stable computed form (meV per atom): 0.0
Space group: P4/mbm (127)
Magnetization (μB/atom): 0.000

=====

DFT total energy per entry: -9.594, -9.683, -9.513, -9.532, -8.754, -9.701 eV/atom
Energy of formation per entry: -0.68, -0.60, -0.71, -0.45, 0.77, -0.42 eV per atom


The following is a PBE calculation of a relaxed structure of NaAcGa2Au4, from the Alexandria database.

Computed properties:
Total magnetic moment   0.00 μB/atom
Density of states at the Fermi level   0.384 states/eV/atom
Crystal system   trigonal
Energy relative to the elements   -450 meV/atom

a = 4.6105 Å, b = 4.6105 Å, c = 28.8666 Å
α = 90.00°, β = 90.00°, γ = 120.00°
Space group R-3m (No. 166, hexagonal axes)
Asymmetric unit:
Na 0.0000 0.0000 0.0000
Ac 0.0000 0.0000 0.5000
Ga 0.0000 0.0000 0.2631
Au 0.0000 0.0000 0.1028
Au 0.0000 0.0000 0.3823



The following is a PBE calculation of a relaxed structure of NaDy2Sn3Te6, from the Alexandria database.

Computed properties:
Total magnetic moment   0.00 μB/atom
Density of states at the Fermi level   0.333 states/eV/atom
Crystal system   monoclinic
E_form (uncorrected)   -726 meV/atom

a = 19.7194 Å, b = 4.4118 Å, c = 9.1773 Å
α = 90.00°, β = 104.61°, γ = 90.00°
Space group C2/m (No. 12)
-- stop --
Work order:
The reader should echo the whole of the material above without additions.
Outcome:
No. 1
# Zr2NbIr9

Zr2NbIr9 after structural relaxation (PBE, Alexandria).

a b c (Å): 3.963 3.963 11.901
angles (deg): 90.00 90.00 90.00
Positions (direct):
1 Zr 0.000 0.000 0.167
2 Zr 0.000 0.000 0.833
3 Nb 0.000 0.000 0.500
4 Ir 0.000 0.500 0.000
5 Ir 0.000 0.500 0.339
6 Ir 0.000 0.500 0.661
7 Ir 0.500 0.000 0.000
8 Ir 0.500 0.000 0.339
9 Ir 0.500 0.000 0.661
10 Ir 0.500 0.500 0.169
11 Ir 0.500 0.500 0.500
12 Ir 0.500 0.500 0.831

Theoretical density (g/cm³): 17.81
Space group: P4/mmm (123)
Magnetization (μB/atom): 0.000

=====

No. 2
# ZrNbIr2

ZrNbIr2 after structural relaxation (PBE, Alexandria).

a b c (Å): 2.984 2.984 7.652
angles (deg): 90.00 90.00 90.00
Positions (direct):
1 Zr 0.000 0.000 0.000
2 Nb 0.000 0.000 0.500
3 Ir 0.500 0.500 0.264
4 Ir 0.500 0.500 0.736

Theoretical density (g/cm³): 13.86
Offset from the most stable computed form (meV per atom): 0.0
Space group: P4/mmm (123)
Magnetization (μB/atom): 0.000

=====

No. 3
# Zr6NbIr5

Zr6NbIr5 after structural relaxation (PBE, Alexandria).

a b c (Å): 4.667 6.711 7.390
angles (deg): 90.00 108.47 90.00
Positions (direct):
1 Zr 0.000 0.248 0.000
2 Zr 0.000 0.752 0.000
3 Zr 0.333 0.249 0.666
4 Zr 0.333 0.751 0.666
5 Zr 0.667 0.249 0.334
6 Zr 0.667 0.751 0.334
7 Nb 0.500 0.500 0.000
8 Ir 0.168 0.000 0.336
9 Ir 0.168 0.500 0.336
10 Ir 0.500 0.000 0.000
11 Ir 0.832 0.000 0.664
12 Ir 0.832 0.500 0.664

Theoretical density (g/cm³): 12.11
Space group: P2/m (10)
Magnetization (μB/atom): 0.000

=====

No. 4
# ZrNbIr2

ZrNbIr2 after structural relaxation (PBE, Alexandria).

a b c (Å): 4.616 4.616 4.616
angles (deg): 60.00 60.00 60.00
Positions (direct):
1 Zr 0.000 0.000 0.000
2 Nb 0.500 0.500 0.500
3 Ir 0.250 0.250 0.250
4 Ir 0.750 0.750 0.750

Theoretical density (g/cm³): 13.57
Offset from the most stable computed form (meV per atom): 151.3
Space group: Fm-3m (225)
Magnetization (μB/atom): 0.000

=====

No. 5
# ZrNb3Ir

ZrNb3Ir after structural relaxation (PBE, Alexandria).

a b c (Å): 4.873 4.873 4.873
angles (deg): 90.00 90.00 90.00
Positions (direct):
1 Zr 0.000 0.000 0.000
2 Nb 0.000 0.500 0.500
3 Nb 0.500 0.000 0.500
4 Nb 0.500 0.500 0.000
5 Ir 0.500 0.500 0.500

Theoretical density (g/cm³): 8.07
Offset from the most stable computed form (meV per atom): 0.0
Space group: Pm-3m (221)
Magnetization (μB/atom): 0.000

=====

No. 6
# ZrNb2Ir2

ZrNb2Ir2 after structural relaxation (PBE, Alexandria).

a b c (Å): 7.714 7.714 3.010
angles (deg): 90.00 90.00 90.00
Positions (direct):
1 Zr 0.000 0.000 0.000
2 Zr 0.500 0.500 0.000
3 Nb 0.166 0.334 0.500
4 Nb 0.334 0.834 0.500
5 Nb 0.666 0.166 0.500
6 Nb 0.834 0.666 0.500
7 Ir 0.130 0.630 0.000
8 Ir 0.370 0.130 0.000
9 Ir 0.630 0.870 0.000
10 Ir 0.870 0.370 0.000

Theoretical density (g/cm³): 12.26
Offset from the most stable computed form (meV per atom): 0.0
Space group: P4/mbm (127)
Magnetization (μB/atom): 0.000

=====

DFT total energy per entry: -9.594, -9.683, -9.513, -9.532, -8.754, -9.701 eV/atom
Energy of formation per entry: -0.68, -0.60, -0.71, -0.45, 0.77, -0.42 eV per atom


The following is a PBE calculation of a relaxed structure of NaAcGa2Au4, from the Alexandria database.

Computed properties:
Total magnetic moment   0.00 μB/atom
Density of states at the Fermi level   0.384 states/eV/atom
Crystal system   trigonal
Energy relative to the elements   -450 meV/atom

a = 4.6105 Å, b = 4.6105 Å, c = 28.8666 Å
α = 90.00°, β = 90.00°, γ = 120.00°
Space group R-3m (No. 166, hexagonal axes)
Asymmetric unit:
Na 0.0000 0.0000 0.0000
Ac 0.0000 0.0000 0.5000
Ga 0.0000 0.0000 0.2631
Au 0.0000 0.0000 0.1028
Au 0.0000 0.0000 0.3823



The following is a PBE calculation of a relaxed structure of NaDy2Sn3Te6, from the Alexandria database.

Computed properties:
Total magnetic moment   0.00 μB/atom
Density of states at the Fermi level   0.333 states/eV/atom
Crystal system   monoclinic
E_form (uncorrected)   -726 meV/atom

a = 19.7194 Å, b = 4.4118 Å, c = 9.1773 Å
α = 90.00°, β = 104.61°, γ = 90.00°
Space group C2/m (No. 12)